Never has there been a greater need for female leaders than today. Through our multilevel mentoring program, we train and equip women for ministry and leadership in a variety of areas, including teaching, leading, and lay counseling. 

Hear from other women who have gone through Women in Community’s Mentoring Program and find out how it has richly impacted their lives for the better. Life is not meant to be done alone and you don’t have to figure out the hard things by yourself. Be watching for information on when our next Mentoring Program will be or sign up for our newsletter to get updated information on upcoming events.

To join us for our upcoming Mentoring Program, scroll down for important information and to register.

Thank you for your interest in the Women in Community Mentoring Program! This 8-week group study will ignite you, challenge you, and support you as we dive into the truth of God’s Word in a safe and encouraging environment. You’ll develop relationships with other women who also want God’s best for their lives and will be able to minister to other women as well. We hope you’ll join us!

In order for you to make a fully committed decision to this program at registration, we’d like to share the expectations of the program in advance.

Our next session will be:

Day: Mondays, 7:00-8:30 PM
Duration: 8 Weeks
Dates: September 30 – November 18
Location: 51st & Elm Area in East Tulsa/Broken Arrow

You will need to:

  • Register by completing the form and paying the $10.

  • Cost is $10 and includes a PDF of the Mentoring Program Course Outline.

# Inserted here: materials data
This entry pairs a crystal structure of LiCoOs with its calculated X-ray diffraction stick pattern. Radiation: Cu Kα (weighted mean of Kα1 and Kα2). Structure: a crystal structure in Alexandria, relaxed with GGA-PBE.
Peak positions follow from Bragg's law for the DFT cell and can differ from measured ones.

Peak list (10 most intense, 2θ from 10° to 90°, by intensity)
- d 4.287, 2θ 20.72, I 100
- d 2.000, 2θ 45.34, I 48
- d 2.230, 2θ 40.46, I 48
- d 2.040, 2θ 44.40, I 46
- d 1.921, 2θ 47.31, I 39
- d 2.144, 2θ 42.16, I 32
- d 3.398, 2θ 26.22, I 22
- d 2.261, 2θ 39.87, I 22
- d 1.605, 2θ 57.41, I 19
- d 3.771, 2θ 23.59, I 17

Crystal structure
```
data_LiCoOs
_chemical_formula_sum 'Li2 Co2 Os2'
_cell_length_a 4.472
_cell_length_b 4.472
_cell_length_c 5.195
_cell_angle_alpha 119.16
_cell_angle_beta 119.16
_cell_angle_gamma 60.76
_space_group_name_H-M_alt 'P 1'
_space_group_IT_number 1
loop_
_space_group_symop_operation_xyz
'x,y,z'
loop_
_atom_site_label
_atom_site_fract_x
_atom_site_fract_y
_atom_site_fract_z
Li1 0.169 0.169 0.004
Li2 0.831 0.831 0.996
Co1 0.314 0.686 0.500
Co2 0.503 0.497 0.000
Os1 0.647 0.021 0.498
Os2 0.979 0.353 0.502
```

***

This entry pairs a crystal structure of LiCoOs with its calculated X-ray diffraction stick pattern. Radiation: Cu Kα (weighted mean of Kα1 and Kα2). Structure: a crystal structure in Alexandria, relaxed with GGA-PBE.
Peak positions follow from Bragg's law for the DFT cell and can differ from measured ones.

Peak list (10 most intense, 2θ from 10° to 90°, by intensity)
- d 3.553, 2θ 25.06, I 100
- d 2.022, 2θ 44.82, I 90
- d 2.052, 2θ 44.14, I 62
- d 1.179, 2θ 81.69, I 31
- d 1.440, 2θ 64.73, I 30
- d 1.777, 2θ 51.43, I 15
- d 1.575, 2θ 58.60, I 13
- d 1.343, 2θ 70.06, I 12
- d 1.184, 2θ 81.21, I 10
- d 4.918, 2θ 18.04, I 10

Crystal structure
```
data_LiCoOs
_chemical_formula_sum 'Li2 Co2 Os2'
_cell_length_a 4.103
_cell_length_b 4.103
_cell_length_c 4.918
_cell_angle_alpha 90.00
_cell_angle_beta 90.00
_cell_angle_gamma 120.00
_space_group_name_H-M_alt 'P 1'
_space_group_IT_number 1
loop_
_space_group_symop_operation_xyz
'x,y,z'
loop_
_atom_site_label
_atom_site_fract_x
_atom_site_fract_y
_atom_site_fract_z
Li1 0.333 0.667 0.000
Li2 0.667 0.333 0.000
Co1 0.333 0.667 0.500
Co2 0.667 0.333 0.500
Os1 0.000 0.000 0.247
Os2 0.000 0.000 0.753
```

***

This entry pairs a crystal structure of LiCoRe2Os with its calculated X-ray diffraction stick pattern. Radiation: Cu Kα (weighted mean of Kα1 and Kα2). Structure: a crystal structure in Alexandria, relaxed with GGA-PBE.
Peak positions follow from Bragg's law for the DFT cell and can differ from measured ones.

Peak list (10 most intense, 2θ from 10° to 90°, by intensity)
- d 2.409, 2θ 37.32, I 100
- d 2.205, 2θ 40.92, I 61
- d 2.877, 2θ 31.09, I 39
- d 1.438, 2θ 64.83, I 31
- d 1.309, 2θ 72.16, I 30
- d 1.559, 2θ 59.26, I 20
- d 1.897, 2θ 47.95, I 19
- d 3.795, 2θ 23.44, I 19
- d 1.750, 2θ 52.27, I 18
- d 1.205, 2θ 79.57, I 18

Crystal structure
```
# The text goes on

  • Purchase the book: Enjoying the Journey of Transformation by Cecilie Croissant.

    • Cost is approximately $15 and can be ordered via

In order for this program to be optimally effective, we ask that all participants commit to the following:

Prior to week 1 meeting:

  • Watch the “Introduction to Righteousness” message ( and Andrew Wommack’s spirit/soul/body message (

  • Read Enjoying the Journey of Transformation Introduction and Chapter

  • Print, bring a digital copy of, or plan to purchase a printed copy of the Course Outline for $10 at the first meeting. You will receive this via free PDF at registration.


  • Bring your printed or digital copy of the Course Outline.

  • Read/watch all required materials each week and bring typed or handwritten answers to that week’s discussion questions in the Course Outline.

Throughout the course:

  • Attend all 8 sessions either “in-person” or via Zoom per your registration. Please do not request a change mid-session. This creates difficulties in forming intimate groups for discussion and complications with in-person/online space accommodations. Thank you for understanding!

  • At the end of the 8 weeks, all participants who complete the program (a minimum of 7 out of the 8 sessions) will receive a certificate of completion and may apply for the Mentoring Program Step 2 course when it is next offered.

We take your growth and development very seriously as you continue to go deeper in your relationship with Jesus and His calling on your life. We believe you do as well and that is why we ask for such a deep commitment to this program. We believe in your value, worth, and calling as women in the Body of Christ and are committed to pour into you and walk alongside you in this journey.

We have observed such transformation in the women who have completed this course and believe that you will experience the same thing as God works in and through you during these 8 weeks. It is definitely a safe place to share honestly, grow, be encouraged, and develop what we have seen become lasting covenant relationships.

If you’d like to join us for this upcoming session, please register below. Thank you and we look forward to seeing you soon!

With grateful hearts,

The Women in Community Leaders

What People are Saying About the Mentoring Program

  • "Getting the perspective and take-away from the rest of the group was so helpful."   R.W.

  • "Never before have I had the gospel explained to me so clearly."  T.K. 

  • "Biggest life changer!"  A.H.

  • "I had so many aha moments where I discovered what I had been missing."  R. W.

  • "It was exciting to be discipled and also pour into others."  C. M. 

  • "The interaction was fabulous and clarifying."  R.J.